## Work order
Could you reproduce everything below without altering anything?

## Excerpt
-- begin --
Compound: CaTb2Ho
Source: the Alexandria database
Functional: PBE
Structure: relaxed

Computed properties:
ρ	6.4	g/cm3
energy relative to the elements	0.153	eV/atom
distance to the lowest polymorph of the same formula	95	meV/atom
magnetization	0.0000	μB per atom
E	-3.807	eV per atom

a b c (Å): 3.5433 3.5433 12.7359
angles (deg): 82.00 82.00 60.00
Fractional positions:
-- stop --

## Solution
Compound: CaTb2Ho
Source: the Alexandria database
Functional: PBE
Structure: relaxed

Computed properties:
ρ	6.4	g/cm3
energy relative to the elements	0.153	eV/atom
distance to the lowest polymorph of the same formula	95	meV/atom
magnetization	0.0000	μB per atom
E	-3.807	eV per atom

a b c (Å): 3.5433 3.5433 12.7359
angles (deg): 82.00 82.00 60.00
Fractional positions: